By spooky coincidence at the exact moment I read in the newspaper that the World Health Organisation has declared processed pork products to be in the same cancer risk category as asbestos, tobacco and plutonium, I was eating a big fat sizzling rasher of bacon.

Actually that’s a lie. It’s not remotely spooky or coincidental that I was eating bacon when I read this because I always eat bacon at breakfast with my newspaper.

The reason I always eat bacon at breakfast, every day, without fail, is because bacon tastes delicious. It’s one of the three main reasons God invented the pig (the others being ham and sausage, obviously). I like it so much that sometimes I wonder whether I should become a vegetarian, just so that I can experience that incredible thing all well-adjusted vegetarians go through whereby they realise just how joyless and pointless being a vegetarian is and are seized by an insanely powerful urge to eat a bacon sandwich. And then they do eat a bacon sandwich and tears stream from their eyes and celestial choirs sing the Hallelujah chorus and the interior of their mouth explodes in a gustatory orgasm and they vow never to return to the dark side again. (Cara Delevinge will experience something similar, probably, when she finally remembers that she isn’t actually a lesbian).

But now the World Health Organisation’s International Agency For Research On Cancer (IARC) is telling me I shouldn’t eat bacon because it will increase my risk of getting cancer.

(You mark my words, they won’t stop at bacon. Pretty soon those health nazi killjoys will be trying to claim that barbecued food gives you cancer. And toast. Even cigarettes, before long, I shouldn’t wonder. Imagine!)

• Attached: calculated molecules:
____________
A molecular structure, C43H35KOP2S5 at a distorted geometry. Source: OMol25; level of theory: ωB97M-V/def2-TZVPD.

Structure (XYZ):
```
87
Properties=species:S:1:pos:R:3
K -2.6387 -1.2555 -1.8762
C 4.9480 -1.2713 1.8287
C 3.5465 -1.0428 2.4223
C 3.6644 -0.7640 3.9327
C 2.8864 0.1634 1.7682
C 3.5696 1.3723 1.7020
C 2.9462 2.5391 1.3009
C 1.6028 2.5090 0.9720
C 0.8895 1.3131 0.9494
P -0.9491 1.3221 0.6599
C -1.3765 2.2924 2.1710
C -1.3940 1.5581 3.3604
C -1.6274 2.1843 4.5759
C -1.8599 3.5551 4.6171
C -1.8615 4.2889 3.4386
C -1.6226 3.6624 2.2182
C -1.2003 2.5446 -0.6878
C -2.5247 2.9648 -0.8675
C -2.8702 3.8281 -1.8946
C -1.8969 4.2748 -2.7791
C -0.5905 3.8388 -2.6361
C -0.2440 2.9708 -1.6057
C 1.5608 0.1418 1.3403
O 0.8433 -1.0379 1.3060
C 1.4534 -2.2331 1.6078
C 0.7372 -3.4036 1.3013
C 1.2505 -4.6234 1.7140
C 2.4577 -4.6955 2.3985
C 3.1735 -3.5355 2.6177
C 2.7002 -2.2883 2.2114
P -0.8143 -3.4321 0.3134
C -1.8723 -2.3948 1.4325
C -2.8283 -1.4395 1.0979
C -3.7361 -0.9505 2.0321
C -3.7166 -1.4145 3.3331
C -2.7723 -2.3660 3.6939
C -1.8700 -2.8490 2.7588
C -0.1249 -2.6398 -1.2103
C 0.3580 -3.6246 -2.0840
C 1.0808 -3.2822 -3.2178
C 1.3299 -1.9482 -3.5064
C 0.8372 -0.9602 -2.6653
C 0.1077 -1.3051 -1.5345
H 5.5928 -0.4053 1.9906
H 4.8829 -1.4602 0.7541
H 5.4345 -2.1286 2.2973
H 4.2686 0.1297 4.1102
H 4.1346 -1.6090 4.4455
H 2.6763 -0.6018 4.3715
H 4.6097 1.4092 2.0044
H 3.4943 3.4746 1.2814
H 1.0860 3.4327 0.7498
H -1.2237 0.4835 3.3278
H -1.6338 1.6035 5.4917
H -2.0440 4.0480 5.5649
H -2.0456 5.3581 3.4655
H -1.6272 4.2471 1.3058
H -3.2922 2.6194 -0.1795
H -3.9005 4.1374 -2.0174
H -2.1629 4.9433 -3.5884
H 0.1673 4.1609 -3.3398
H 0.7751 2.6122 -1.5410
H 0.6968 -5.5267 1.4821
H 2.8429 -5.6481 2.7384
H 4.1293 -3.5970 3.1269
H -2.8675 -1.0326 0.1150
H -4.4474 -0.1876 1.7385
H -4.4217 -1.0317 4.0605
H -2.7450 -2.7469 4.7078
H -1.1493 -3.5984 3.0641
H 0.1768 -4.6697 -1.8582
H 1.4456 -4.0595 -3.8783
H 1.8822 -1.6713 -4.3953
H 0.9975 0.0822 -2.8994
H -0.2781 -0.5202 -0.8980
C 0.2125 2.1824 -6.3259
S 0.4712 0.3880 -6.3168
C -1.1882 -0.1701 -6.3541
C -2.0810 -0.0663 -5.3379
S -1.8919 0.6784 -3.7894
S -3.6366 -0.7946 -5.7116
C -3.3104 -1.3973 -7.3026
S -4.3919 -2.2474 -8.2026
S -1.7252 -0.9803 -7.8152
H 1.1858 2.6441 -6.1487
H -0.4722 2.4408 -5.5168
H -0.1790 2.5087 -7.2878
```

spin multiplicity	1
E_LUMO	-0.14	eV
E	-5008.42764	Eh
HOMO-LUMO gap	0.2413	hartree
relative energy (zero: lowest compared OMol25 entry of this formula, charge and spin)	16.3	kcal per mole

Atom charges from the Löwdin analysis, given in e for atoms 1 to 8: 0.68, -0.02, -0.43, -0.01, -0.09, -0.02, -0.06, -0.09

A molecular structure, CH4N2S3 at a distorted geometry. Source: OMol25; level of theory: ωB97M-V/def2-TZVPD.

Structure (XYZ):
```
10
Properties=species:S:1:pos:R:3
C -0.0911 -1.2350 -0.2590
N -0.3264 -0.0831 2.0126
N 0.2697 0.9214 -0.5565
S 0.4423 -1.8667 -1.6072
S 0.8878 0.8575 -2.0043
S -1.0742 -1.3260 1.1113
H 0.3568 0.5152 1.5279
H -1.1265 0.5564 2.2374
H 1.0190 0.8758 0.1176
____________

As always when you look into the details of this new health scare, it isn’t quite as clear-cut as the newspaper headlines make out.

Christopher Snowdon is good on this:

The IARC are not claiming that eating processed meat is “as bad a cancer threat as smoking”, nor are they saying that “processed meats pose the same cancer risk as smoking and asbestos”. They are merely claiming that the evidence that there is some increased cancer risk is strong enough to be considered proven.

The agency has trawled through the vast literature of nutritional epidemiology to come to these conclusions. This literature is a notorious swamp of publication bias, competing interests and contradictory findings. Almost every type of food has been linked to some disease or other over the years, sometimes positively, sometimes negatively, but rarely on a scale that would alarm a level-headed individual.

Better still is an organisation I’d never heard of before, but which I’m definitely going to join on principle, if they’ll have me on board: the North American Meat Institute.

Here’s what their Vice President of Scientific Affairs Betsy Booren had to say in a statement:

“They tortured the data to ensure a specific outcome.”

“Red and processed meat are among 940 agents reviewed by IARC and found to pose some level of theoretical ‘hazard.’ Only one substance, a chemical in yoga pants, has been declared by IARC not to cause cancer.”

I still can’t work out whether the yoga pants thing is a joke or not but I like this woman’s style.

She’s quite right though. If we paid any heed to all the things researchers tell us can give us cancer, then we’d probably have to give up eating and drinking altogether.

This study from 2013Is everything we eat associated with cancer? A systematic cookbook review – illustrates the problem well.

The researchers selected 50 common ingredients from cook books. Forty of these ingredients (80 per cent) had articles reporting on their cancer risk.

Its conclusion:

 Associations with cancer risk or benefits have been claimed for most food ingredients. Many single studies highlight implausibly large effects, even though evidence is weak. Effect sizes shrink in meta-analyses.

Now I’m going to celebrate with a large bacon sandwich with plutonium dressing and a cigarette to go with my coffee afterwards. It’s not like we’re not all going to die anyway.